Inner Radiance Academy is proud to be certified by the Modern Mystery School. We offer ancient methods and teachings for spiritual empowerment for the betterment of individuals and of the planet. These methods and teachings come through the Modern Mystery School Lineage and organization. From here, creating peace on earth and peace within truly is possible!

What comes next are crystal structures, not part of the text
********
# 1
Material: SrSb2Cl
Method: DFT, PBE
State: optimized geometry

Summary:
offset from the most stable computed form	0.423	eV per atom
ΔE_f (raw)	-2.457	eV/f.u.

a = 6.823 Å, b = 6.823 Å, c = 3.502 Å
α = 90.00°, β = 90.00°, γ = 130.15°
Positions (direct):
1 Sb 0.000 0.000 0.000
2 Sb 0.500 0.500 0.000
3 Cl 0.000 0.500 0.500
4 Sr 0.500 0.000 0.500


# 2
Material: YCd
Method: DFT, PBE
State: optimized geometry

Summary:
ΔE_f	-0.17	eV per atom

a = 8.753 Å, b = 8.753 Å, c = 5.014 Å
α = 90.00°, β = 90.00°, γ = 120.00°
Positions (direct):
1 Cd 0.114 0.536 0.250
2 Cd 0.886 0.464 0.750
3 Cd 0.536 0.422 0.750
4 Cd 0.578 0.114 0.750
5 Cd 0.464 0.578 0.250
6 Cd 0.422 0.886 0.250
7 Y 0.139 0.313 0.750
8 Y 0.174 0.861 0.750
9 Y 0.826 0.139 0.250
10 Y 0.687 0.826 0.750
11 Y 0.861 0.687 0.250
12 Y 0.313 0.174 0.250


# 3
Material: FePbSCl2
Method: DFT, PBE
State: optimized geometry

Summary:
offset from the most stable computed form	0.849	eV per atom
ΔE_f (raw)	2.125	eV/f.u.

a = 5.272 Å, b = 5.272 Å, c = 5.162 Å
α = 90.00°, β = 90.00°, γ = 90.00°
Last column: magnetic moment on the atom in μB.
Positions (direct):
1 Fe 0.500 0.500 0.500  3.41
2 S 0.000 0.000 0.500  -0.02
3 Cl 0.000 0.500 0.000  0.01
4 Cl 0.500 0.000 0.000  0.01
5 Pb 0.000 0.000 0.000  0.00


# 4
Material: SrInSn3
Method: DFT, PBE
State: optimized geometry

Summary:
ΔE_f	0.74	eV per atom
offset from the most stable computed form	0.991	eV per atom

a = 6.029 Å, b = 6.029 Å, c = 6.029 Å
α = 90.00°, β = 90.00°, γ = 90.00°
Last column: magnetic moment on the atom in μB.
Positions (direct):
1 In 0.500 0.500 0.500  -0.01
2 Sn 0.000 0.500 0.000  0.11
3 Sn 0.500 0.000 0.000  0.10
4 Sn 0.000 0.000 0.500  0.06
5 Sr 0.000 0.000 0.000  0.11


# 5
Material: LaBeTlMo2
Method: DFT, PBE
State: optimized geometry

Summary:
ΔE_f	2.25	eV per atom

a = 5.080 Å, b = 5.739 Å, c = 5.080 Å
α = 90.00°, β = 90.00°, γ = 90.00°
Positions (direct):
1 Mo 0.000 0.000 0.500
2 Mo 0.500 0.000 0.000
3 Be 0.500 0.500 0.500
4 La 0.000 0.500 0.000
5 Tl 0.000 0.000 0.000


# 6
Material: TbZn2Ru2C
Method: DFT, PBE
State: optimized geometry

Summary:
ΔE_f	-0.27	eV per atom

a = 4.102 Å, b = 4.102 Å, c = 5.476 Å
α = 90.00°, β = 90.00°, γ = 90.00°
Positions (direct):
1 Zn 0.500 0.500 0.283
2 Zn 0.500 0.500 0.717
3 Tb 0.000 0.000 0.500
4 Ru 0.000 0.500 0.000
5 Ru 0.500 0.000 0.000
6 C 0.000 0.000 0.000


# 7
Material: AlCo2Re2
Method: DFT, PBE
State: optimized geometry

Summary:
ΔE_f	0.16	eV per atom

a = 7.100 Å, b = 7.100 Å, c = 2.675 Å
α = 90.00°, β = 90.00°, γ = 90.00°
Positions (direct):
1 Co 0.882 0.618 0.000
2 Co 0.382 0.882 0.000
3 Co 0.118 0.382 0.000
4 Co 0.618 0.118 0.000
5 Al 0.500 0.500 0.000
6 Al 0.000 0.000 0.000
7 Re 0.824 0.324 0.500
8 Re 0.324 0.176 0.500
9 Re 0.176 0.676 0.500
10 Re 0.676 0.824 0.500


# 8
Material: CaReTc2
Method: DFT, PBE
State: optimized geometry

Summary:
ΔE_f	0.50	eV per atom
offset from the most stable computed form	0.113	eV per atom

a = 5.454 Å, b = 5.454 Å, c = 5.454 Å
********
Back to the text

The Modern Mystery School is an international organization dedicated to making the world a better place by bringing tools of empowerment to individuals, allowing them to live out their true Life Purpose.
With centers in more than 55 countries around the world, the Modern Mystery School has become a powerful force for change on the planet. The Modern Mystery School offers Advanced Spiritual Training to those who seek to understand the deeper mysteries of who we are and where we are going. Many have likened the Modern Mystery School to a University of Spiritual Study & Technology.
Any individual who wishes to is welcome to study with the Modern Mystery School. It is open to anyone who is interested in pursuing greater self mastery. Once an individual has begun working with Mystery School methods or teachings, there is no requirement to continue–only many, many opportunities to go deeper!
The Modern Mystery School Leadership is made up of the three gentlemen of the Third Order and the twelve goddesses of the Council of 12.
Founder Ipsissimus Gudni FRATER GED Gudnason was born in Iceland and initiated into the Lineage of King Salomon in the 1970’s, Founder Gudni Gudnason was given priesthood powers from High Priest Melchizedek, Initiated into the Mysteries in the Great Pyramid of Giza, Initiated Celtic Medicine Man, Viking Shaman, Druid Priest, Templar Knight, and Egyptian High Priest of Isis.
Ipsissimus Gudni brought the Lineage of King Salomon to the public and founded the Modern Mystery School 1997–making the mysteries available to any with a true call to discover the deeper truths of the Hermetic Teachings. His mission is for these secret teachings to spread all over the world and assist people in establishing inner peace, which will in turn bring about World Peace.
Founder Gudni Gudnason has travelled the world extensively, starting from a young age, first to train, and now to inspire all of those he touches to awaken to the possibility of World Peace. As a key-holder of many ancient practices, he shares with the initiate community world-wide profound Hermetic and Esoteric teachings, the practice of true Alchemy and Kabbalah, and the mastery of Salomonic and Enochian magick, among many other closely kept mystery teachings.
In addition to his teaching and magickal practices, Founder Gudni is a champion martial artist, poet, musician, film producer, visual artist, dancer, businessman and inventor. He lives his teachings in his daily life– embracing the royalty of the divine self within and finding the JOY of a magick-filled life. In all things, he is an instrument for greater light, truth, goodness, joy and empowerment to come onto this planet.

Ipsissimus Dave “THOR” Lanyon is the CEO and guiding light for The Modern Mystery School worldwide. Based in Toronto, Canada, Dave has been a man on a mission since he joined the Lineage in 2004. He has been responsible for the explosive growth of the school, expanding into 55 countries. He has dedicated his life to serving the world by teaching, healing and helping people from all walks of life to Know Thyself. His background in counseling and his mastery of the tools of the Lineage of King Salomon have made him an expert at identifying what is holding each student back and supporting them to greater understanding, wisdom, and self-mastery.
Dave is an initiated Knights Templar and leads the worldwide Order of the Warriors of Light. He is a High Priest of Egyptian Magick, a Master of Enochian Magick and specialist of Viking, Celtic, and Egyptian Shamanism and much more.
Ipsissimus Hideto REI Nakagome joined the lineage in 2000, and has been instrumental in the growth of The Modern Mystery School worldwide, serving as the CEO of The Modern Mystery School in Japan. He is 100% dedicated to the mission World Peace. Hideto has become a cornerstone for the school, serving as charismatic spiritual leader and overseeing the explosive growth in the Eastern World. Hideto is also a practicing Monk of Japanese Buddhism, bringing this system of thought and mastery into our lineage.
Hideto is Initiated as Priest of Mikkyo Esoteric Buddhism, Viking Shaman, Celtic Shaman, Knight Templar, Egyptian Shaman & more. As a master healer and head instructor of the Ensofic Ray Institute, he brings to the people an awareness of the beauty and good within themselves by sharing a system of healing that provides a pathway back to our original state of harmony with all.

The hard work and dedication of initiates in the Lineage of King Salomon over the centuries has ensured that the Advanced Spiritual Training of the Modern Mystery School can be accessed by those who are seeking greater individual and spiritual empowerment. As one of 7 ancient mystery schools, the Modern Mystery School has served as a guardian of spiritual technology that far surpasses what is commonly available.
Included in the curriculum of the Modern Mystery School are advanced methods for working with Sacred Geometry, Astral Travel, Alchemy, Universal Kabbalah, Etheric Reconstruction, Egyptian Magick, Enochian Magick, Hermetics, Wicca and Ritual Mastery are just a few of the areas of study offered through the Modern Mystery School.
Getting started with the Core Curriculum of Modern Mystery School teachings is easy to do! At House of Healing Center of Light, Vila Loukas offers ongoing classes & training to get you started on your journey.

Life is a series of spiritual lessons that allow us to learn and grow. The Path of Progression speaks to that truth. As human beings, we are always learning and growing, both individually and collectively, whether we are aware of it or not.
The Path of Progression, also called the Initiatory Path, has been held and taught through the ancient mystery school tradition. Throughout human history, the mystery schools have existed in order to safeguard key spiritual teachings and methods so that they remain intact for our use. The Initiatory Path is part of that spiritual inheritance.
The Path of Progression that comes through the mystery school tradition has many steps along the way toward achieving self-mastery. Each step increases your individual capacity to live the fullness of your Life Purpose. The more of us who are empowered in this way, the more we can do to create the peaceful collective existence that we are longing for.
Inner Radiance Academy is honored to help you get started on the Initiatory Path. Two essential steps you will take with us here are: (1) Life Activation and (2) Empower Thyself – First Step Initiation. In addition to these two key steps, there are a number of additional activations, empowerments, and sessions to establish your foundation in the work. Upon completion of the steps offered here, further training is available through Modern Mystery School International programs.